Request >
Your job: start at the top of the notes further below and print each line, ending with the one that has "-6.26 eV/atom".

Contents >
=====
1.
Entry from Alexandria via LeMat-Bulk: ZrCo2Sn2 after structural relaxation (GGA-PBE).

Unit cell a=7.3362 b=7.3362 c=3.1394 alpha=90.00 beta=90.00 gamma=90.00
Closest atoms and distances in Å follow each position.
Space group P4/mbm (No. 127)
Unique sites:
Zr 0.0000 0.0000 0.0000 x2  4 Co 2.88, 2 Zr 3.14, 8 Sn 3.16
Co 0.1296 0.3704 0.0000 x4  6 Sn 2.66-2.67, 1 Co 2.69, 2 Zr 2.88
Sn 0.1635 0.6635 0.5000 x4  6 Co 2.66-2.67

Output
ΔE_f ... -0.112 eV/atom
Raw total energy ... -6.26 eV/atom
Density ... 8.78 g/cm3
Crystal system ... tetragonal
Magnetic moment ... 0.431 μB/f.u.



2.
Entry from Alexandria via LeMat-Bulk: BaLi2N after structural relaxation (GGA-PBE).

Unit cell a=5.8830 b=5.8830 c=9.5666 alpha=90.00 beta=90.00 gamma=90.00
Closest atoms and distances in Å follow each position.
Space group I4_1/amd (No. 141, origin choice 2)
Unique sites:
Ba 0.0000 0.2500 0.3750 x4  12 Li 3.50-3.88, 4 Ba 3.79, 4 N 3.79
Li 0.0000 0.0000 0.0000 x8  2 N 1.90
N 0.0000 0.2500 0.8750 x4  4 Li 1.90

Output
Raw total energy ... -3.49 eV/atom
Density ... 3.31 g/cm3
Crystal system ... tetragonal
Magnetic moment ... 0.728 μB/f.u.
E_form (uncorrected) ... 0.10 eV per formula unit



3.
Entry from Alexandria via LeMat-Bulk: CuHCl2 after structural relaxation (GGA-PBE).

Unit cell a=12.9827 b=5.6074 c=5.7075 alpha=90.00 beta=115.82 gamma=90.00
Closest atoms and distances in Å follow each position.
Space group Cm (No. 8)
Unique sites:
Cu 0.0000 0.2501 0.0000 x4  2 Cl 2.14
H 0.1695 0.0000 0.6274 x2  1 Cl 1.30
H 0.1732 0.5000 0.7164 x2  1 Cl 1.30
Cl 0.2341 0.0000 0.5061 x2  1 H 1.30
Cl 0.2351 0.5000 0.9665 x2  1 H 1.30
Cl 0.4961 0.5000 0.7121 x2  2 Cu 2.14
Cl 0.4968 0.0000 0.2810 x2  2 Cu 2.14

Output
Raw total energy ... -3.23 eV/atom
Density ... 2.41 g/cm3
Crystal system ... monoclinic
Magnetic moment ... 0.000 μB/f.u.
=====

Written answer >
1.
Entry from Alexandria via LeMat-Bulk: ZrCo2Sn2 after structural relaxation (GGA-PBE).

Unit cell a=7.3362 b=7.3362 c=3.1394 alpha=90.00 beta=90.00 gamma=90.00
Closest atoms and distances in Å follow each position.
Space group P4/mbm (No. 127)
Unique sites:
Zr 0.0000 0.0000 0.0000 x2  4 Co 2.88, 2 Zr 3.14, 8 Sn 3.16
Co 0.1296 0.3704 0.0000 x4  6 Sn 2.66-2.67, 1 Co 2.69, 2 Zr 2.88
Sn 0.1635 0.6635 0.5000 x4  6 Co 2.66-2.67

Output
ΔE_f ... -0.112 eV/atom
Raw total energy ... -6.26 eV/atom